• Job:
Now write out only the lines below with the word "peaks" in them.

• File:
# 1
Structure and calculated X-ray diffraction stick pattern of Y5Ir3 (a structure optimized by DFT (GGA-PBE); λ = 1.5418 Å (Cu Kα)).

Structure:
abc: 6.2520 15.6612 8.4271
angles: 90.00 111.68 90.00
Space group Cm (No. 8)
One atom of each set of equivalent atoms:
Y 0.9996 0.0000 0.9996
Y 0.0000 0.5000 0.0000
Y 0.0722 0.1863 0.7879
Y 0.2850 0.1862 0.2112
Y 0.3654 0.3941 0.3725
Y 0.4921 0.1059 0.6272
Ir 0.1288 0.0000 0.6887
Ir 0.1843 0.2500 0.4997
Ir 0.2839 0.3446 0.9998
Ir 0.4389 0.0000 0.3105

Principal peaks in the range 15° ≤ 2θ ≤ 90°, in order of rising 2θ:
- d 3.882, 22.91 deg, intensity 84, (1 3 0)
- d 2.757, 32.48 deg, intensity 51, (1 1 2)
- d 2.722, 32.90 deg, intensity 59, (2 2 -2)
- d 2.476, 36.28 deg, intensity 68, (0 6 1)
- d 2.468, 36.41 deg, intensity 100, (1 3 -3)
- d 2.332, 38.61 deg, intensity 48, (2 2 1)

# 2
Structure and calculated X-ray diffraction stick pattern of Ho4P (a structure optimized by DFT (GGA-PBE); λ = 1.5418 Å (Cu Kα)).

Structure:
abc: 5.3441 5.3441 5.3441
angles: 90.00 90.00 90.00
Space group Pm-3m (No. 221)
One atom of each set of equivalent atoms:
Ho 0.0000 0.0000 0.0000
Ho 0.0000 0.5000 0.5000

• Written answer:
Principal peaks in the range 15° ≤ 2θ ≤ 90°, in order of rising 2θ: